**Excerpt:**
┌──
Entry from Alexandria: a relaxed structure of Fe2AgW (GGA-PBE).

a b c (Å): 2.6480 4.0946 5.3671
angles (deg): 90.00 100.35 90.00
Closest atoms and distances in Å follow each position.
Space group Pm (No. 6)
Inequivalent atoms, fractional coordinates:
Fe: 0.0000 0.0000 0.0000 x1  1 W 2.48, 4 Fe 2.51-2.65, 2 Ag 2.72
Fe: 0.3922 0.5000 0.2276 x1  4 Fe 2.51-2.65, 2 W 2.57, 2 Ag 2.64-2.74
Ag: 0.4649 0.5000 0.7435 x1  6 Fe 2.64-2.87, 2 Ag 2.65, 4 W 2.89-2.91
W: 0.8654 0.0000 0.4454 x1  3 Fe 2.48-2.57, 2 W 2.65

Values from the calculation:
└──
**Job:**
Start at the top of the rows further up and echo each line, ending with the one that has "the calculation:".
**Reply:**
Entry from Alexandria: a relaxed structure of Fe2AgW (GGA-PBE).

a b c (Å): 2.6480 4.0946 5.3671
angles (deg): 90.00 100.35 90.00
Closest atoms and distances in Å follow each position.
Space group Pm (No. 6)
Inequivalent atoms, fractional coordinates:
Fe: 0.0000 0.0000 0.0000 x1  1 W 2.48, 4 Fe 2.51-2.65, 2 Ag 2.72
Fe: 0.3922 0.5000 0.2276 x1  4 Fe 2.51-2.65, 2 W 2.57, 2 Ag 2.64-2.74
Ag: 0.4649 0.5000 0.7435 x1  6 Fe 2.64-2.87, 2 Ag 2.65, 4 W 2.89-2.91
W: 0.8654 0.0000 0.4454 x1  3 Fe 2.48-2.57, 2 W 2.65

Values from the calculation: